Dear Aurora families
As you are aware, above average rainfall is expected in most parts of the state over the coming days.
The Bureau of Meteorology advises that this presents a risk of flooding in some of the affected areas. Obviously, this may impact on the travel plans for our upcoming Residential School for some students.
Please be assured that we are keeping a close watch on the situation as it unfolds and we are working very closely with the bus company to ensure that published routes are safe.
Data records, kept here for reference:
Record 1
# CaSiPb2
Simulated powder diffraction line list, Cu Kα X-rays. Input: a DFT-relaxed cell (GGA-PBE, Alexandria).
Neutral-atom scattering factors, no anomalous dispersion.

Principal peaks in the range 2θ = 10–90°, in order of falling intensity:
2θ/deg, intensity, index
32.6, 1000, 0 1 2
32.3, 654, 1 0 -2
23.2, 490, 0 1 1
13.0, 466, 0 0 1
31.5, 243, 1 0 1
51.5, 217, 2 0 -1
38.9, 201, 0 2 0
41.1, 160, 1 0 2
56.8, 152, 1 1 3
66.3, 152, 2 2 -1

Atomic structure:
```
data_CaSiPb2
_cell_length_a 3.550
_cell_length_b 4.636
_cell_length_c 7.013
_cell_angle_alpha 90.00
_cell_angle_beta 103.12
_cell_angle_gamma 90.00
_symmetry_space_group_name_H-M 'P 1 m 1'
_symmetry_Int_Tables_number 6
loop_
_symmetry_equiv_pos_as_xyz
'x,y,z'
'x,-y,z'
loop_
_atom_site_label
_atom_site_type_symbol
_atom_site_fract_x
_atom_site_fract_y
_atom_site_fract_z
Ca1 Ca 0.000 0.000 0.000
Si1 Si 0.438 0.500 0.864
Pb1 Pb 0.275 0.000 0.559
Pb2 Pb 0.636 0.500 0.289
```

Record 2
# Ca3SiPb2
Simulated powder diffraction line list, Cu Kα X-rays. Input: a DFT-relaxed cell (GGA-PBE, Alexandria).
Neutral-atom scattering factors, no anomalous dispersion.

Principal peaks in the range 2θ = 10–90°, in order of falling intensity:
2θ/deg, intensity, index
22.0, 1000, 1 0 3
19.7, 926, 2 0 2
35.4, 712, 4 1 1
40.8, 699, 0 2 0
41.3, 687, 3 0 5
25.5, 642, 1 1 2
30.0, 579, 1 1 3
37.5, 577, 4 1 2
22.4, 503, 1 1 1
59.4, 478, 3 2 5

Atomic structure:
```
data_Ca3SiPb2
_cell_length_a 12.735
_cell_length_b 4.426
_cell_length_c 12.766
_cell_angle_alpha 90.00
_cell_angle_beta 90.00
_cell_angle_gamma 90.00
_symmetry_space_group_name_H-M 'P n m a'
_symmetry_Int_Tables_number 62
loop_
_symmetry_equiv_pos_as_xyz
'x,y,z'
'-x,-y,-z'
'-x+1/2,-y,z+1/2'
'x+1/2,y,-z+1/2'
'x+1/2,-y+1/2,-z+1/2'
'-x+1/2,y+1/2,z+1/2'
'-x,y+1/2,-z'
'x,-y+1/2,z'
loop_
_atom_site_label
_atom_site_type_symbol
_atom_site_fract_x
_atom_site_fract_y
_atom_site_fract_z
Ca1 Ca 0.062 0.250 0.122
Ca2 Ca 0.115 0.750 0.541
Ca3 Ca 0.228 0.250 0.778
Si1 Si 0.135 0.250 0.356
Pb1 Pb 0.006 0.750 0.308
Pb2 Pb 0.191 0.750 0.990
```

Record 3
# Ca6Sn3Pb
Simulated powder diffraction line list, Cu Kα X-rays. Input: a DFT-relaxed cell (GGA-PBE, Alexandria).
Neutral-atom scattering factors, no anomalous dispersion.

Principal peaks in the range 2θ = 10–90°, in order of falling intensity:
2θ/deg, intensity, index
33.3, 1000, 3 0 1
33.7, 869, 0 0 2
23.7, 771, 1 2 1
33.9, 608, 1 4 1
28.3, 308, 1 3 1
60.1, 280, 3 0 3
11.7, 278, 1 1 0
26.6, 263, 0 3 1
60.7, 253, 1 8 1
48.5, 240, 2 4 2

Atomic structure:
```
data_Ca6Sn3Pb
_cell_length_a 9.344
_cell_length_b 12.917
_cell_length_c 5.313
_cell_angle_alpha 90.00
_cell_angle_beta 90.00
_cell_angle_gamma 90.00
_symmetry_space_group_name_H-M 'P n n m'
_symmetry_Int_Tables_number 58
loop_
_symmetry_equiv_pos_as_xyz
'x,y,z'
'-x,-y,-z'
'-x,-y,z'
'x,y,-z'
'x+1/2,-y+1/2,-z+1/2'
'-x+1/2,y+1/2,z+1/2'
'-x+1/2,y+1/2,-z+1/2'
'x+1/2,-y+1/2,z+1/2'
loop_
_atom_site_label
_atom_site_type_symbol
_atom_site_fract_x
_atom_site_fract_y
In the event that a bus route needs to be changed, families will be alerted via SMS and will be directed to information published on our website A banner on the landing page will link you to a page with the latest information.
In the days before the Residential School, families are advised to stay informed and monitor local conditions, including via the LIVE Traffic NSW and the Bureau of Meteorology websites/apps.
Please do not take your child to the designated ‘pick up’ location (bus and air travel) if it is unsafe to do so. You should never drive through flood waters. Please also ensure that you do not leave your child unattended whilst waiting for their Residential School bus.
If travel is deemed to be unsafe for individual students or groups of students and attendance at the Residential School is not possible, families will receive a full refund for the cost of the camp, including transport.
Unrelated to this text: crystal structures:
'''
(1)
Diffraction record for V2F9. The X-ray diffraction stick pattern is theoretical, not measured: it uses a cell relaxed with GGA+U and CuKα.

Crystal structure
a = 5.2036 Å, b = 5.2036 Å, c = 14.4696 Å
α = 90.00°, β = 90.00°, γ = 120.00°
Space group P6_3/mcm (No. 193)
Asymmetric unit:
V  0.0000  0.0000  0.1491 (multiplicity 4)
F  0.0000  0.2641  0.2500 (multiplicity 6)
F  0.0000  0.2973  0.5932 (multiplicity 12)

Peak list (6 most intense, 2θ = 10–90°, sorted by position)
2theta	I_rel
19.7	100
23.3	12
24.6	12
31.7	19
39.3	32
51.7	16

(2)
Diffraction record for Na3Ni2P2C2O14. The X-ray diffraction stick pattern is theoretical, not measured: it uses a cell relaxed with GGA+U and CuKα.

Crystal structure
a = 6.550 Å, b = 8.924 Å, c = 10.363 Å
α = 91.48°, β = 90.10°, γ = 90.92°
Space group P-1 (No. 2)
Asymmetric unit:
Na  0.010  0.253  0.130 (multiplicity 2)
Na  0.031  0.255  0.626 (multiplicity 2)
Na  0.485  0.252  0.127 (multiplicity 2)
Ni  0.254  0.656  0.144 (multiplicity 2)
Ni  0.255  0.653  0.638 (multiplicity 2)
P  0.249  0.427  0.389 (multiplicity 2)
P  0.250  0.423  0.893 (multiplicity 2)
C  0.248  0.927  0.107 (multiplicity 2)
C  0.254  0.925  0.606 (multiplicity 2)
O  0.062  0.322  0.857 (multiplicity 2)
O  0.062  0.323  0.354 (multiplicity 2)
O  0.241  0.577  0.317 (multiplicity 2)
O  0.243  0.066  0.088 (multiplicity 2)
O  0.243  0.465  0.536 (multiplicity 2)
O  0.245  0.462  0.043 (multiplicity 2)
O  0.249  0.870  0.220 (multiplicity 2)
O  0.250  0.063  0.588 (multiplicity 2)
O  0.251  0.826  0.013 (multiplicity 2)
O  0.252  0.572  0.820 (multiplicity 2)
O  0.252  0.826  0.512 (multiplicity 2)
O  0.259  0.867  0.720 (multiplicity 2)
O  0.434  0.332  0.349 (multiplicity 2)
O  0.437  0.324  0.866 (multiplicity 2)

Peak list (6 most intense, 2θ = 10–90°, sorted by position)
2theta	I_rel
16.7	53
20.0	53
21.9	59
26.0	74
27.2	100
34.6	56

(3)
Diffraction record for MgVF6. The X-ray diffraction stick pattern is theoretical, not measured: it uses a cell relaxed with GGA+U and CuKα.

Crystal structure
a = 5.2707 Å, b = 5.2707 Å, c = 13.4859 Å
α = 90.00°, β = 90.00°, γ = 120.00°
Space group R-3 (No. 148, hexagonal axes)
Asymmetric unit:
Mg  0.0000  0.0000  0.0000 (multiplicity 3)
V  0.0000  0.0000  0.5000 (multiplicity 3)
F  0.0129  0.5922  0.2476 (multiplicity 18)

Peak list (6 most intense, 2θ = 10–90°, sorted by position)
2theta	I_rel
20.5	12
23.5	100
39.6	25
48.1	25
53.6	28
54.9	12

(4)
Diffraction record for NaLiHfWO6. The X-ray diffraction stick pattern is theoretical, not measured: it uses a cell relaxed with GGA+U and CuKα.

Crystal structure
a = 7.994 Å, b = 7.994 Å, c = 7.994 Å
α = 90.00°, β = 90.00°, γ = 90.00°
Space group F-43m (No. 216)
Asymmetric unit:
Na  0.000  0.000  0.000 (multiplicity 4)
Li  0.000  0.000  0.500 (multiplicity 4)
Hf  0.250  0.250  0.750 (multiplicity 4)
W  0.250  0.250  0.250 (multiplicity 4)
O  0.007  0.250  0.250 (multiplicity 24)

Peak list (6 most intense, 2θ = 10–90°, sorted by position)
2theta	I_rel
'''
Families are asked to contact the Aurora College office by telephone on 1300 287 629 or email at as soon as possible, if your local circumstances do not allow for safe travel.
In the event that travel home at the conclusion of the camp is not safe, students will be accommodated in Canberra under the supervision of Aurora staff until it is safe to do so.
Following the announcement by National Cabinet at the end of September with regard to mandatory COVID-19 isolation, the NSW Department of Education has revised its Term 4 requirements. Part of the updated advice is provided below:
- For all overnight excursions and camps, any COVID-19 positive case is required to be isolated until a parent is able to pick up their child.
- Students who share overnight cabins/rooms with a positive case are no longer required to be picked up from the venue; however, families of the students must be informed. These students will need to monitor for symptoms and wear a mask for all indoor activities as per the NSW guidelines for people exposed to COVID-19. If any student or staff develops symptoms following COVID-19 exposure, they will need to be isolated and follow the advice for people with symptoms (as above).
Obviously, the major change to the settings that were in place last term is that ’close contacts’ are no longer required to be picked up from the venue.
If you have any questions, please feel free to contact the Aurora College office.
Chris Robertson
Principal, Aurora College